[Brief]
It remains to work out how many lines further below have the word "DOS" in them; a number is enough.

[Given]
- - -
The following is a PBE-GGA calculation of Cs4InGe3Br12 after structural relaxation, from Alexandria via LeMat-Bulk.

## Properties
Theoretical density, g/cm3: 4.22
V, Å³ per cell: 717
Space-group type: Im-3m
Energy relative to the elements, uncorrected, eV/atom: -1.120
DOS at the Fermi energy, states/eV per cell: 0.3

Lattice parameters (Å, degrees): 9.767 9.767 9.767 109.47 109.47 109.47
Sites, in units of the cell vectors:
Cs 0.000 0.000 0.500
Cs 0.000 0.500 0.000
Cs 0.500 0.000 0.000
Cs 0.500 0.500 0.500
In 0.000 0.000 0.000
Ge 0.000 0.500 0.500
Ge 0.500 0.000 0.500
Ge 0.500 0.500 0.000
Br 0.000 0.255 0.255
Br 0.000 0.745 0.745
Br 0.250 0.500 0.750
Br 0.250 0.750 0.500
Br 0.255 0.000 0.255
- - -

[Outcome]
1